# Given
(1)
{
  "formula": "C8H8O3",
  "method": "the ωB97M-V functional and the def2-TZVPD basis",
  "e_homo_ev": -7.8,
  "de_lowest_ev": 6.557,
  "homo_lumo_gap_ev": 8.6,
  "elements": ["O", "O", "O", "C", "C", "C", "C", "C", "C", "C", "C", "H", "H", "H", "H", "H", "H", "H", "H"],
  "positions_angstrom": [[3.79, -1.14, 0.87], [-2.06, -1.41, -0.84], [-1.97, 0.51, 0.43], [-2.72, -0.45, 1.06], [0.31, 2.02, 0.00], [-1.54, -0.08, -0.79], [2.15, 0.21, -0.27], [-0.55, 2.85, 0.11], [-2.77, -1.56, 0.33], [1.30, 1.04, -0.14], [3.23, -0.79, -0.38], [-0.44, -0.13, -0.81], [4.00, -0.41, -1.08], [2.83, -1.72, -0.80], [-1.31, 3.60, 0.21], [-3.27, -2.52, 0.48], [-3.17, -0.19, 2.00], [4.11, -0.34, 1.28], [-1.92, 0.50, -1.64]]
}


(2)
{
  "formula": "C8H8O4",
  "method": "the ωB97M-V functional and the def2-TZVPD basis",
  "e_homo_ev": -8.9,
  "de_lowest_ev": 2.036,
  "homo_lumo_gap_ev": 9.4,
  "elements": ["O", "O", "O", "O", "C", "C", "C", "C", "C", "C", "C", "C", "H", "H", "H", "H", "H", "H", "H", "H"],
  "positions_angstrom": [[2.75, -2.12, -0.28], [-2.42, 0.44, -0.75], [-2.47, -0.91, 1.00], [2.13, 2.55, 0.22], [-1.83, -0.28, 0.23], [-3.86, 0.24, -0.42], [0.58, -1.36, 0.00], [-0.33, -0.32, 0.14], [1.96, -1.05, -0.17], [2.40, 0.23, -0.02], [1.47, 1.34, 0.10], [0.14, 0.98, 0.20], [2.63, 2.86, -0.54], [-0.54, 1.82, 0.01], [3.47, 0.39, 0.22], [0.17, -2.31, 0.16], [-4.06, 0.39, 0.62], [-4.35, -0.65, -0.77], [-4.27, 1.15, -0.93], [3.73, -1.92, -0.57]]
}


What is the formula in the second record? C8H8O4


What did the first record say?
{
  "formula": "C8H8O3",
  "method": "the ωB97M-V functional and the def2-TZVPD basis",
  "e_homo_ev": -7.8,
  "de_lowest_ev": 6.557,
  "homo_lumo_gap_ev": 8.6,
  "elements": ["O", "O", "O", "C", "C", "C", "C", "C", "C", "C", "C", "H", "H", "H", "H", "H", "H", "H", "H"],
  "positions_angstrom": [[3.79, -1.14, 0.87], [-2.06, -1.41, -0.84], [-1.97, 0.51, 0.43], [-2.72, -0.45, 1.06], [0.31, 2.02, 0.00], [-1.54, -0.08, -0.79], [2.15, 0.21, -0.27], [-0.55, 2.85, 0.11], [-2.77, -1.56, 0.33], [1.30, 1.04, -0.14], [3.23, -0.79, -0.38], [-0.44, -0.13, -0.81], [4.00, -0.41, -1.08], [2.83, -1.72, -0.80], [-1.31, 3.60, 0.21], [-3.27, -2.52, 0.48], [-3.17, -0.19, 2.00], [4.11, -0.34, 1.28], [-1.92, 0.50, -1.64]]
}


What is the formula in the first record? C8H8O3

~~~~~

Entry from the Open Molecules 2025 dataset: a structure of composition C31H22N6O8PtS3 (ωB97M-V with the def2-TZVPD basis set).

CARTESIAN COORDINATES (ANGSTROEM)
Pt 0.881 -0.665 -0.660
S -4.305 -1.510 -3.898
S 0.126 -3.258 -0.777
S -1.648 -2.659 -3.103
O -0.169 6.132 2.439
O 1.153 -0.967 1.416
O -0.944 -0.247 -1.696
O 0.150 1.432 0.388
O 1.060 6.472 4.174
O 5.061 1.775 3.874
O 2.252 1.214 -0.278
O 4.776 3.542 5.068
N 4.476 2.799 4.156
N -2.489 -2.667 -0.677
N 2.902 -1.554 -0.651
N -3.466 -2.233 -1.431
N 1.509 -0.573 -2.796
N 0.725 5.827 3.202
C 2.730 -1.323 -3.048
C 2.593 4.301 3.665
C 1.564 -2.113 1.909
C 1.359 1.720 0.470
C 2.464 -4.510 3.133
C 1.413 -3.756 3.686
C 3.049 -4.059 1.982
C 1.229 0.468 -3.475
C 1.493 4.597 2.892
C 2.611 -2.880 1.344
C -2.172 1.633 -2.416
C 3.288 3.156 3.342
C 3.273 -2.495 0.127
C 0.980 -2.592 3.098
C 2.925 2.333 2.295
C -1.268 3.156 -4.064
C 0.032 1.255 -3.309
C -1.001 0.852 -2.432
C -1.368 -2.880 -1.413
C -6.952 -1.153 0.616
C -4.577 -0.959 0.291
C 1.071 3.795 1.852
C -3.240 -2.095 -2.786
C -5.885 -2.444 -1.110
C -5.728 -0.598 0.973
C -4.682 -1.868 -0.746
C -2.300 2.750 -3.209
C 1.801 2.659 1.550
C 3.647 -1.198 -1.845
C -0.122 2.405 -4.103
C -7.030 -2.077 -0.419
H 2.895 4.935 4.483
H -2.966 1.327 -1.748
H -5.923 -3.170 -1.911
H -7.982 -2.516 -0.689
H 3.501 1.449 2.062
H 3.963 -0.159 -1.741
H 4.528 -1.831 -1.978
H 0.695 2.693 -4.756
H 0.181 4.049 1.294
H 2.800 -5.422 3.608
H 3.243 -0.979 -3.950
H 4.181 -3.049 -0.131
H -5.667 0.116 1.784
H 0.934 -4.097 4.597
H 2.456 -2.372 -3.179
H -7.848 -0.871 1.155
H -3.605 -0.567 0.562
H 1.919 0.780 -4.265
H 3.868 -4.615 1.535
H 0.171 -2.008 3.519
H -1.376 4.037 -4.683
H -3.217 3.328 -3.168
# Work order
Set down all of the calculation results further above word for word, please.
# Reply
(1)
{
  "formula": "C8H8O3",
  "method": "the ωB97M-V functional and the def2-TZVPD basis",
  "e_homo_ev": -7.8,
  "de_lowest_ev": 6.557,
  "homo_lumo_gap_ev": 8.6,
  "elements": ["O", "O", "O", "C", "C", "C", "C", "C", "C", "C", "C", "H", "H", "H", "H", "H", "H", "H", "H"],
  "positions_angstrom": [[3.79, -1.14, 0.87], [-2.06, -1.41, -0.84], [-1.97, 0.51, 0.43], [-2.72, -0.45, 1.06], [0.31, 2.02, 0.00], [-1.54, -0.08, -0.79], [2.15, 0.21, -0.27], [-0.55, 2.85, 0.11], [-2.77, -1.56, 0.33], [1.30, 1.04, -0.14], [3.23, -0.79, -0.38], [-0.44, -0.13, -0.81], [4.00, -0.41, -1.08], [2.83, -1.72, -0.80], [-1.31, 3.60, 0.21], [-3.27, -2.52, 0.48], [-3.17, -0.19, 2.00], [4.11, -0.34, 1.28], [-1.92, 0.50, -1.64]]
}


(2)
{
  "formula": "C8H8O4",
  "method": "the ωB97M-V functional and the def2-TZVPD basis",
  "e_homo_ev": -8.9,
  "de_lowest_ev": 2.036,
  "homo_lumo_gap_ev": 9.4,
  "elements": ["O", "O", "O", "O", "C", "C", "C", "C", "C", "C", "C", "C", "H", "H", "H", "H", "H", "H", "H", "H"],
  "positions_angstrom": [[2.75, -2.12, -0.28], [-2.42, 0.44, -0.75], [-2.47, -0.91, 1.00], [2.13, 2.55, 0.22], [-1.83, -0.28, 0.23], [-3.86, 0.24, -0.42], [0.58, -1.36, 0.00], [-0.33, -0.32, 0.14], [1.96, -1.05, -0.17], [2.40, 0.23, -0.02], [1.47, 1.34, 0.10], [0.14, 0.98, 0.20], [2.63, 2.86, -0.54], [-0.54, 1.82, 0.01], [3.47, 0.39, 0.22], [0.17, -2.31, 0.16], [-4.06, 0.39, 0.62], [-4.35, -0.65, -0.77], [-4.27, 1.15, -0.93], [3.73, -1.92, -0.57]]
}


What is the formula in the second record? C8H8O4


What did the first record say?
{
  "formula": "C8H8O3",
  "method": "the ωB97M-V functional and the def2-TZVPD basis",
  "e_homo_ev": -7.8,
  "de_lowest_ev": 6.557,
  "homo_lumo_gap_ev": 8.6,
  "elements": ["O", "O", "O", "C", "C", "C", "C", "C", "C", "C", "C", "H", "H", "H", "H", "H", "H", "H", "H"],
  "positions_angstrom": [[3.79, -1.14, 0.87], [-2.06, -1.41, -0.84], [-1.97, 0.51, 0.43], [-2.72, -0.45, 1.06], [0.31, 2.02, 0.00], [-1.54, -0.08, -0.79], [2.15, 0.21, -0.27], [-0.55, 2.85, 0.11], [-2.77, -1.56, 0.33], [1.30, 1.04, -0.14], [3.23, -0.79, -0.38], [-0.44, -0.13, -0.81], [4.00, -0.41, -1.08], [2.83, -1.72, -0.80], [-1.31, 3.60, 0.21], [-3.27, -2.52, 0.48], [-3.17, -0.19, 2.00], [4.11, -0.34, 1.28], [-1.92, 0.50, -1.64]]
}


What is the formula in the first record? C8H8O3

~~~~~

Entry from the Open Molecules 2025 dataset: a structure of composition C31H22N6O8PtS3 (ωB97M-V with the def2-TZVPD basis set).

CARTESIAN COORDINATES (ANGSTROEM)
Pt 0.881 -0.665 -0.660
S -4.305 -1.510 -3.898
S 0.126 -3.258 -0.777
S -1.648 -2.659 -3.103
O -0.169 6.132 2.439
O 1.153 -0.967 1.416
O -0.944 -0.247 -1.696
O 0.150 1.432 0.388
O 1.060 6.472 4.174
O 5.061 1.775 3.874
O 2.252 1.214 -0.278
O 4.776 3.542 5.068
N 4.476 2.799 4.156
N -2.489 -2.667 -0.677
N 2.902 -1.554 -0.651
N -3.466 -2.233 -1.431
N 1.509 -0.573 -2.796
N 0.725 5.827 3.202
C 2.730 -1.323 -3.048
C 2.593 4.301 3.665
C 1.564 -2.113 1.909
C 1.359 1.720 0.470
C 2.464 -4.510 3.133
C 1.413 -3.756 3.686
C 3.049 -4.059 1.982
C 1.229 0.468 -3.475
C 1.493 4.597 2.892
C 2.611 -2.880 1.344
C -2.172 1.633 -2.416
C 3.288 3.156 3.342
C 3.273 -2.495 0.127
C 0.980 -2.592 3.098
C 2.925 2.333 2.295
C -1.268 3.156 -4.064
C 0.032 1.255 -3.309
C -1.001 0.852 -2.432
C -1.368 -2.880 -1.413
C -6.952 -1.153 0.616
C -4.577 -0.959 0.291
C 1.071 3.795 1.852
C -3.240 -2.095 -2.786
C -5.885 -2.444 -1.110
C -5.728 -0.598 0.973
C -4.682 -1.868 -0.746
C -2.300 2.750 -3.209
C 1.801 2.659 1.550
C 3.647 -1.198 -1.845
C -0.122 2.405 -4.103
C -7.030 -2.077 -0.419
H 2.895 4.935 4.483
H -2.966 1.327 -1.748
H -5.923 -3.170 -1.911
H -7.982 -2.516 -0.689
H 3.501 1.449 2.062
H 3.963 -0.159 -1.741
H 4.528 -1.831 -1.978
H 0.695 2.693 -4.756
H 0.181 4.049 1.294
H 2.800 -5.422 3.608
H 3.243 -0.979 -3.950
H 4.181 -3.049 -0.131
H -5.667 0.116 1.784
H 0.934 -4.097 4.597
H 2.456 -2.372 -3.179
H -7.848 -0.871 1.155
H -3.605 -0.567 0.562
H 1.919 0.780 -4.265
H 3.868 -4.615 1.535
H 0.171 -2.008 3.519
H -1.376 4.037 -4.683
H -3.217 3.328 -3.168